Kfar Saba Mayor Rafi Sa’ar on Wednesday told the Knesset Foreign Affairs and Defense Committee, chaired by MK Yuli Yoel Edelstein (Likud): “The distance between Kfar Saba and Qalqilya is between 600 meters and one kilometer. This means that if on October 7 they would have decided to attack us, there would be no one to stop them.”
“The approach should be that the rapid response security teams will remain intact from this point forward. The threats emanating from Qalqilya, Shechem, Jenin, and Tulkarem will persist, and on the day the army will leave the sector, we will be left with the rapid response security teams,” Sa’ar said.
Calculated molecules from another source follow:
Entry 1:
The following is a quantum chemistry calculation of a structure of composition C31H64O29V, from OMol25.

```
125
Properties=species:S:1:pos:R:3
V -3.43 -2.14 -0.96
C 0.29 -0.08 0.53
C -0.59 -1.15 -0.11
O -1.80 -0.66 -0.65
H 1.06 -0.52 1.18
H -0.22 0.76 1.00
H 0.83 0.44 -0.27
H -0.91 -1.84 0.69
H -0.05 -1.71 -0.89
C -2.27 -4.90 1.76
C -3.55 -4.11 1.88
O -3.74 -3.13 0.93
H -2.26 -5.73 2.47
H -1.37 -4.29 1.89
H -2.07 -5.33 0.77
H -3.54 -3.73 2.92
H -4.44 -4.76 1.91
C 5.53 1.35 -3.05
O 4.34 1.26 -3.86
C 3.41 0.37 -3.60
O 2.44 0.21 -4.29
O 3.72 -0.38 -2.53
C 2.82 -1.31 -2.00
H 5.30 1.26 -1.99
H 6.03 2.31 -3.13
H 6.10 0.48 -3.35
H 2.06 -1.83 -2.58
H 2.25 -1.00 -1.12
H 3.35 -2.20 -1.62
C -1.18 5.99 -1.68
O -2.03 4.95 -1.21
C -1.55 3.88 -0.62
O -0.47 3.71 -0.12
O -2.56 3.04 -0.44
C -2.40 1.98 0.50
H -1.54 6.95 -1.33
H -1.09 5.98 -2.77
H -0.17 5.86 -1.28
H -1.40 1.56 0.37
H -3.13 1.22 0.24
H -2.58 2.32 1.52
C 1.58 -2.27 4.07
O 2.57 -1.59 3.32
C 3.47 -2.29 2.65
O 3.62 -3.47 2.62
O 4.21 -1.40 1.97
C 5.38 -1.93 1.33
H 1.97 -3.00 4.78
H 0.96 -2.86 3.38
H 0.97 -1.56 4.61
H 5.62 -1.15 0.61
H 5.08 -2.86 0.84
H 6.16 -2.27 2.02
C -6.05 1.12 -2.48
O -5.62 1.36 -1.15
C -5.11 0.48 -0.34
O -5.00 -0.71 -0.62
O -4.85 1.02 0.82
C -4.00 0.28 1.69
H -6.48 2.05 -2.82
H -6.72 0.26 -2.44
H -5.26 0.73 -3.12
H -3.15 -0.22 1.20
H -4.52 -0.53 2.20
H -3.51 1.02 2.31
C -1.81 -1.21 3.74
O -1.43 -0.46 4.88
C -1.36 0.86 4.68
O -1.60 1.40 3.63
O -1.02 1.44 5.82
C -0.95 2.86 5.69
H -2.83 -1.59 3.79
H -1.16 -2.09 3.70
H -1.67 -0.71 2.78
H -0.15 3.22 5.04
H -0.72 3.25 6.68
H -1.90 3.30 5.38
C 1.67 4.73 -3.80
O 0.62 3.82 -3.57
C -0.64 4.29 -3.47
O -0.91 5.44 -3.62
O -1.48 3.31 -3.20
C -0.99 2.04 -2.72
H 1.69 5.42 -2.96
H 1.82 5.18 -4.78
H 2.62 4.20 -3.68
H -1.82 1.42 -2.41
H -0.36 2.19 -1.84
H -0.44 1.60 -3.55
C 1.30 2.27 1.92
O 2.55 2.85 2.26
C 2.67 3.51 3.41
O 1.91 3.44 4.34
O 3.83 4.17 3.33
C 4.21 4.96 4.45
H 1.09 1.44 2.59
H 1.19 2.06 0.86
H 0.49 3.00 2.00
H 5.29 5.09 4.47
H 3.94 4.42 5.35
H 3.72 5.93 4.36
C 5.38 -6.29 -1.29
O 4.22 -5.46 -1.34
C 3.36 -5.46 -0.34
O 3.49 -6.02 0.72
O 2.28 -4.77 -0.69
C 1.31 -4.49 0.32
H 6.09 -5.76 -0.66
H 5.71 -6.53 -2.30
H 5.11 -7.27 -0.90
H 0.95 -5.33 0.90
H 0.47 -3.97 -0.16
H 1.74 -3.67 0.90
C -0.83 -1.22 -4.08
O -2.03 -1.36 -4.87
C -3.22 -1.49 -4.30
O -3.47 -1.51 -3.12
O -4.07 -1.72 -5.28
C -5.46 -1.71 -5.00
H -0.20 -2.10 -4.18
H -0.95 -0.80 -3.07
H -0.28 -0.40 -4.54
H -5.71 -2.22 -4.07
H -6.00 -2.16 -5.83
H -5.73 -0.66 -4.93
```

As for the expectation value of S²: 3.756. The spin multiplicity is 4. As for the relative energy (zero: lowest compared OMol25 entry of this formula, charge and spin): 88.62 kcal per mole. The value obtained for the HOMO-LUMO gap (spin up / spin down) is 7.572 / 7.426 eV. Its electronic energy is -118241.5379 eV.

Entry 2:
The following is a quantum chemistry calculation of the molecule C3H6OS2, from OMol25.

```
12
Properties=species:S:1:pos:R:3
O 0.89 1.91 -0.13
C 0.15 0.82 -0.41
C -0.80 0.07 0.51
Back to the piece:
He was one of several mayors whose communities are a stone’s throw away from what have become bustling terrorist enclaves over the past 15 years or so.
Last December, Sa’ar founded the Seam Line Municipalities Forum, with the mayors and heads of the Jewish and Arab councils of Hod Hasharon, D’rom Hasharon, Alfei Menashe, Kochav Yair-Zur Yigal, Emek Hefer, Jaljulia, Kafr Bara, Tira, Taiba, and Kafr Kasem.
The residents of several seam line communities have been complaining for years about digging noises they can hear from their bedrooms, located near the “Green Line,” marking what used to be known as the “West Bank.” After being mostly ignored for a long time, the security establishment’s attitude changed dramatically after the October 7, 2023 massacre, and they are now paying attention.
But being able to defend themselves is the highest priority for these mayors, Jews and Arabs alike. Hod Hasharon Mayor Amir Kochavi told the committee, “The rapid response security teams not only provide a sense of security, they also demonstrate a commitment to the mission and the goal.”
Unfortunately, he continued, “We are at a point in time where the rapid response security teams are running on their last fumes and are nearing the end of their activity. This is an important issue that must remain under the responsibility of the IDF. This is a much better solution than the alternatives, and canceling the rapid response security teams would be a severe mistake.”
On December 6, 2023, State Comptroller Matanyahu Englman conducted a tour of the security fence in the Jerusalem, Sharon, and Samaria areas, and reported, “We have to ensure that the fence is fully operational and examine the concept and effectiveness of the barrier.”

The committee notes stated, “We have to find a solution that will enable the residents to sleep in peace and security. To bring about a solution for fortifying these localities and allay the concerns of the residents, who are in danger, we must provide them with funding and equipment for rapid response security teams that will remain there also after the reservists are released,”
For Yuval Arad, head of the Kokhav Ya’ir Tzur Yigal Local Council, the trauma of October 7 remains extremely vivid. As he told the committee, “The moment when the gun barrels will be turned against us can come very quickly. We are the soft spot of the State of Israel. If they pass us, nothing will stop them on the way to the heart of the State of Israel.”
Committee Chair MK Edelstein said, “The rapid response security teams and territorial defense units are a significant and integral part of the protection of Israel’s communities. The IDF is operating excellently, and on the day after the war as well, it will protect Israel and its borders. However, we mustn’t underestimate the operational value of a man defending his home. He knows every pathway and every corner; he knows what the community’s strong and weak spots are. The damage to the status and capabilities of the security coordinators was a grave mistake, and we will correct it. The State of Israel has to invest in and strengthen the civilian and local defense arrays throughout the country, and particularly in the Seam Line municipalities.”
Brig. Gen. (res.) Itzik Bar, deputy head of the National Security Council’s Counterterrorism, Public Security and Home Front Division, said “Since October 7, the State of Israel has been in a constant state of alert concerning sleeper cells within its territory, and this is why we quickly set up rapid response security teams within the ‘Bnei Hamakom’ project [in which reservists were drafted by emergency orders for civilian security missions]. As part of the project, rapid response security teams consisting of reservists who had not been called up were formed in all the internal security areas. At the same time, it was agreed that the Israel Police would form its own rapid response security teams for routine times. The ‘Bnei Hamakom’ rapid response security teams are supposed to be replaced by the Israel Police’s teams. ‘Bnei Hamakom’ is a temporary response. The Minister of Defense said the ‘Bnei Hamakom’ mechanism that was set up would be part of the IDF’s preparations for a future war.
“The threat of high-trajectory fire [on these localities] still exists. A lot has been done on this issue, and it is a real threat. A raid and penetration scenario [is possible]. In this regard, work must be done in cooperation with the local government and the Ministry of Interior, and budgets should be diverted to places where there are disparities,” he said.
Ministry of National Security official Sarit Nissim said, “Following October 10, the ministry created a model for the formation of rapid response security teams according to clear criteria. Nine hundred rapid response security teams were formed, including more than 200 in the Seam Line communities alone, and counting.”
Chief Supt. Nir Carmeli, project manager for the Israel Police’s rapid response security teams, said “By definition, the Israel Police was engaged in classic policing that deals mainly with crime, but we are in a different reality now, in which we examine all the reference scenarios. The commanders of the Israeli Police have decided to set up rapid-response security teams. There were 70 teams, and we formed 860 additional ones. Our goal is to reach a total of more than 1,200 teams. This will not work without budgets. We received NIS 60 million ($16.5 million)), and we need NIS 200 million ($55 million) for security components.”